You just watch the two of them, two oversized school boys shoving an autistic girl against the lockers. Her bag falls over, thousands of Lego blocks blanketing the school hallway, passerby's deftly charging the direction of the foot traffic to walk around her. No one cared, no one willing to help.
You place your hand on the shoulder of your best friend. He still had a wicked grin on his face.
"That's enough dude." You say as you eye the clock at the end of the hallway.
"Yeah you're right anon, stupid bitch should learn how to be normal." He spits out a globule of mucous next to her as she scrambled to get the blocks.
The three of you break off, heading to class. You notice a lone brick by your foot. You absentmindedly pick it up and place it in your pocket. You look back, she's still on the floor.
# Attached: materials data
'''
#A
Computed, not measured: BaSc2Pt after structural relaxation at the PBEsol level of DFT.

Geometry as POSCAR:
```
BaSc2Pt
1.0
-2.170 2.170 5.081
2.170 -2.170 5.081
2.170 2.170 -5.081
Ba Sc Pt
1 2 1
Cartesian
0.000 0.000 0.000
2.170 0.000 2.541
0.000 2.170 2.541
0.000 0.000 5.081
```

Space-group type: I4/mmm (139)


#B
Computed, not measured: BaSc2Pt after structural relaxation at the PBEsol level of DFT.

Geometry as POSCAR:
```
BaSc2Pt
1.0
2.132 1.231 7.334
-2.132 1.231 7.334
0.000 -2.461 7.334
Ba Sc Pt
1 2 1
Cartesian
0.000 0.000 0.000
0.000 0.000 4.661
0.000 0.000 17.342
0.000 0.000 11.002
```

Space-group type: R-3m (166)


#C
Computed, not measured: BaSc2Pt after structural relaxation at the PBEsol level of DFT.

Geometry as POSCAR:
```
BaSc2Pt
1.0
0.000 3.517 3.517
3.517 0.000 3.517
3.517 3.517 0.000
Ba Sc Pt
1 2 1
Cartesian
0.000 0.000 0.000
1.758 1.758 1.758
5.275 5.275 5.275
3.517 3.517 3.517
```

Space-group type: Fm-3m (225)


Which one sits at the top of the stability order? #B does.
'''
# The article goes on
When class is over she's still there on the hallway, she's talking to teachers and random students, distraught mess. Everyone barely tolerating her presence.
Eventually school ends, and everyone else starts to leave. You have business left though with the student counselor and you stay behind.
She's still fucking there, next to her locker. Holding her legs and planting her face on her knees. There was no one else but the two of you.
You tilt your head as you approach her, she shrinks back when she notices you. She knew you as one of her many tormentors.
"What's up with you Krontismo?" You call after her in the unflattering nickname the student populating gave her.
She averts her gaze, shivering as you stand over her.
"L-Leave me alone." You hated how she talked, she had a deep voice like a mans. You remember one of your friends tried to make Troonii stick but that didn't pan out.
"Why are you still here? Mommy and Daddy don't care enough to pick you up?" At the mention of her parents her eyes dart back at you, her nostrils flare. Her blue irises glaring like daggers at you. She finally showed you something that wasn't abject fear.
"Leave me alone!" She screeches out a like monkey, you wince a little at the high pitched wine. Surprising coming from her.
You raise your foot and stomp her on the stomach. She coughs out, what defiance she mustered evaporating instantly.
"Don't talk back to me bitch." You were very unassuming, but everyone knew you as bancho of the school. Not even the jocks would mess with you.
She's crumpled on the floor, shaking. You can see a stain on her exposed undies.
You kneel down, she's hiding her face with both hands. You force them open.
Snot and drool run down her terrorized face.
You take out something from your pocket and present it to her.
Her eyes widen.
It's the Lego block.
"Looking for this?" You shouldn't have done that.
You're caught off guard when she launchers herself at top of you. Her nails scratching and flailing
"GIVE IT BACK! GIVE IT BACK GIVE IT BACK!" You grunt out at the frenzied assault.
You wrap your legs around her waist and squeeze. She might have autismo strength, but even she can't fight against a trained fighter.
You reverse your position, your arms around her neck in a triangle choke.
She passes out.
You have her in your arms, you can smell her hair. It smelt nice.
You decide to have a little fun before she woke up, you start molesting her. Squeezing her ginormous booba. Damn were they such a waste.
She regains consciousness soon enough, struggling and crying out at how you were feeling her up.
You hold her down. Thank you dad for getting you those jiu jutsu lesson.
"Calm down Kronii." You address her properly this time.
"Give it back..." Those words have lost their strength, now a pitiable plea.
You comply, placing the brick in her breast pocket.
You bring your mouth closer to her ear. Your face is blazing with pain, it felt amazing.
"You're pretty hot when you're angry." You compliment her, before letting her go.
You stand up, tracing your fingers on your face. A shit load of blood on your fingertips.
She's cradling the block like it was the holy grail, holding it tightly and weeping in happiness.
You just stare at her, your dick tenting up like a flagpole in your pants. You always thought you were asexual, nothing really turned you on.
She was going to be yours you promised yourself in your head.

Pub: 03 Oct 2021 04:04 UTC
Views: 330